Kenyan firms live up to ESG ideals
Last Friday, immediately before this week’s Africa Climate Summit, KENCTAD (the Kenyan Entrepreneurs’ Conference on Trade & Development) organised a conference on sustainability.
It was all to do with how being serious about ESG (Environment, Social and Governance) issues benefits businesses, and I was invited by Ngida Sebastian, KENCTAD’s ESG Lead, to be the keynote speaker.
For a whole day, we heard about the seriousness with which so many organisations in Kenya take ESG, and it was fascinating for me to listen to this collection of good people talking about how they took these subjects seriously and expected to do well as a result.
For my talk, from observing other ESG stalwarts with whom I have been interacting, I had already thought about what such organisations have in common, and this was further reinforced as I listened to the day’s other speakers.
The most fundamental characteristic is that the leaders of these entities live all the uplifting values that most others at best just talk about.
To sum it up, they are responsible members of society, whether relating to the environment, to social issues or to how they govern themselves. They are fair to all key stakeholders and treat others as they wish to be treated.
A direct consequence of living such values is that they say “No” when they should, and hold back from sub-optimising to the short-term.
A good example of this in the area of CSR(Corporate Social Responsibility). In my talk, I referred to Prof Michael Hopkins, from whom I learned that CSR should be so much more than a project, or even a programme, but a whole mindset of being responsible – and in support of sustainability.
Its ultimate impact should be that the beneficiaries of your CSR reach places of dignity and self-reliance – ideally to the extent that they in turn are able to offer CSR to others.
Here the article breaks off for materials data:
Record 1
Calculated PXRD pattern of Tl2I2Cl7 for copper Kα, from a GGA-PBE-relaxed structure.
Peak positions follow from Bragg's law for the DFT cell and can differ from measured ones.

Cell and atoms:
Cell: 8.040 15.058 7.591 Å, 90.00 91.08 90.00°
Space group P2_1/c (No. 14)
Unique sites:
Tl  0.032  0.167  0.463
I  0.451  0.608  0.766
Cl  0.132  0.698  0.361
Cl  0.194  0.524  0.860
Cl  0.288  0.195  0.798
Cl  0.500  0.000  0.000

Most intense lines, 10 to 80 degrees two-theta, low angle first:
13.06 deg, I 64, hkl 0 1 1
16.13 deg, I 83, hkl 1 2 0
17.26 deg, I 80, hkl 1 1 1
19.83 deg, I 100, hkl 1 2 -1
23.86 deg, I 60, hkl 1 3 -1
26.16 deg, I 95, hkl 1 0 2
30.68 deg, I 62, hkl 2 3 -1
37.53 deg, I 74, hkl 1 6 0


Record 2
Calculated PXRD pattern of KTaPd2O for copper Kα, from a GGA-PBE-relaxed structure.
Peak positions follow from Bragg's law for the DFT cell and can differ from measured ones.

Cell and atoms:
Cell: 4.701 4.701 5.968 Å, 90.00 90.00 90.00°
Space group P4/mmm (No. 123)
Unique sites:
K  0.000  0.000  0.000
Ta  0.000  0.000  0.500
Pd  0.000  0.500  0.000
O  0.500  0.500  0.500

Most intense lines, 10 to 80 degrees two-theta, low angle first:
18.88 deg, I 49, hkl 1 0 0
29.95 deg, I 40, hkl 0 0 2
30.79 deg, I 100, hkl 1 1 1
35.64 deg, I 20, hkl 1 0 2
38.29 deg, I 41, hkl 2 0 0
49.35 deg, I 39, hkl 2 0 2
53.70 deg, I 21, hkl 1 1 3
64.60 deg, I 24, hkl 3 1 1


Record 3
Calculated PXRD pattern of Tb10Pm4Y for copper Kα, from a GGA-PBE-relaxed structure.
Peak positions follow from Bragg's law for the DFT cell and can differ from measured ones.

Cell and atoms:
Cell: 9.774 9.774 11.574 Å, 90.00 90.00 90.00°
Space group I4/m (No. 87)
Unique sites:
Tb  0.000  0.500  0.250
Tb  0.118  0.228  0.162
Pm  0.070  0.325  0.500
Y  0.000  0.000  0.000

Most intense lines, 10 to 80 degrees two-theta, low angle first:
11.85 deg, I 24, hkl 1 0 1
24.81 deg, I 24, hkl 1 0 3
28.89 deg, I 66, hkl 3 1 0
30.91 deg, I 100, hkl 2 1 3
32.85 deg, I 38, hkl 3 1 2
33.97 deg, I 21, hkl 2 3 1
44.30 deg, I 21, hkl 2 4 2
56.21 deg, I 22, hkl 1 3 6


Record 4
Calculated PXRD pattern of HfB6 for copper Kα, from a GGA-PBE-relaxed structure.
Peak positions follow from Bragg's law for the DFT cell and can differ from measured ones.

Cell and atoms:
Cell: 4.038 4.038 4.038 Å, 90.00 90.00 90.00°
Space group Pm-3m (No. 221)
Unique sites:
Hf  0.000  0.000  0.000
B  0.197  0.500  0.500

Most intense lines, 10 to 80 degrees two-theta, low angle first:
22.01 deg, I 74, hkl 1 0 0
31.33 deg, I 100, hkl 1 1 0
38.62 deg, I 42, hkl 1 1 1
44.90 deg, I 21, hkl 2 0 0
50.54 deg, I 51, hkl 2 1 0
55.77 deg, I 30, hkl 2 1 1
69.89 deg, I 28, hkl 2 2 1
74.28 deg, I 20, hkl 3 1 0


Record 5
Calculated PXRD pattern of Ba4Li2Cd3P6 for copper Kα, from a GGA-PBE-relaxed structure.
Peak positions follow from Bragg's law for the DFT cell and can differ from measured ones.

Cell and atoms:
Cell: 4.519 20.054 16.966 Å, 90.00 90.00 90.00°
Space group Cmcm (No. 63)
Unique sites:
Ba  0.000  0.017  0.122
One of the questions posed to me during my session was about the difference between CSR and CSI (Corporate Social Investment).
I like that CSI term as it implies the existence of a return on the investment, one that is measurable and impactful.
And it speaks to a longer-term consequence of being responsible, beyond immediate short-term benefits.
As I wrote in my recent article on trust if we are to develop a more trustworthy – a more responsible – society, we must gather a critical mass of trustworthy people and institutions.
This I reiterated at the conference, and it was beautifully spelt out by two other speakers.
Peter Wairegi, the Chair and CEO of KPRA, (Kenya Professional Realtors Association), told us how they drew together the good guys in his sector, introducing standards, offering training and generally raising the performance bar.
(These data records were left in the article by mistake)
Calculated PXRD pattern of KNdHfSnO6 for Cu Kα X-rays, from a structure optimized by DFT (GGA-PBE).
No peak broadening, texture or thermal motion is included.

The 10 most intense peaks (10° ≤ 2θ ≤ 80°), sorted by position:
18.74°, intensity 15; 21.67°, intensity 13; 30.83°, intensity 100; 36.33°, intensity 9; 44.17°, intensity 31; 48.37°, intensity 4; 49.71°, intensity 6; 54.83°, intensity 41; 64.24°, intensity 19; 72.95°, intensity 18

```
data_KNdHfSnO6
_chemical_formula_sum 'K4 Nd4 Hf4 Sn4 O24'
_space_group_name_H-M_alt 'F -4 3 m'
_space_group_IT_number 216
_space_group_name_Hall 'F -4 2 3'
_cell_length_a 8.202
_cell_length_b 8.202
_cell_length_c 8.202
_cell_angle_alpha 90.00
_cell_angle_beta 90.00
_cell_angle_gamma 90.00
loop_
_atom_site_label
_atom_site_type_symbol
_atom_site_fract_x
_atom_site_fract_y
_atom_site_fract_z
K1 K 0.000 0.000 0.000
Nd1 Nd 0.000 0.000 0.500
Hf1 Hf 0.250 0.250 0.750
Sn1 Sn 0.250 0.250 0.250
O1 O 0.000 0.250 0.250
```

---

Calculated PXRD pattern of K3Hf3NiS8 for Cu Kα X-rays, from a structure optimized by DFT (GGA-PBE).
No peak broadening, texture or thermal motion is included.

The 10 most intense peaks (10° ≤ 2θ ≤ 80°), sorted by position:
11.82°, intensity 100; 23.77°, intensity 17; 28.18°, intensity 23; 29.03°, intensity 23; 32.21°, intensity 78; 39.79°, intensity 22; 42.86°, intensity 28; 49.35°, intensity 24; 50.93°, intensity 16; 60.16°, intensity 12

```
data_K3Hf3NiS8
_chemical_formula_sum 'K9 Hf9 Ni3 S24'
_space_group_name_H-M_alt 'R -3 m'
_space_group_IT_number 166
_space_group_name_Hall '-R 3 2"'
_cell_length_a 7.3870
_cell_length_b 7.3870
_cell_length_c 22.4583
_cell_angle_alpha 90.00
_cell_angle_beta 90.00
_cell_angle_gamma 120.00
loop_
_atom_site_label
_atom_site_type_symbol
_atom_site_fract_x
_atom_site_fract_y
_atom_site_fract_z
K1 K 0.0000 0.5000 0.0000
Hf1 Hf 0.0000 0.5000 0.5000
Ni1 Ni 0.0000 0.0000 0.5000
S1 S 0.0000 0.0000 0.2322
S2 S 0.0025 0.5012 0.2286
```

---

Calculated PXRD pattern of K4HfO4 for Cu Kα X-rays, from a structure optimized by DFT (GGA-PBE).
No peak broadening, texture or thermal motion is included.

The 10 most intense peaks (10° ≤ 2θ ≤ 80°), sorted by position:
15.47°, intensity 97; 16.83°, intensity 79; 16.95°, intensity 79; 17.68°, intensity 74; 28.85°, intensity 100; 29.27°, intensity 83; 29.37°, intensity 81; 32.60°, intensity 82; 33.30°, intensity 72; 35.01°, intensity 64

```
data_K4HfO4
_chemical_formula_sum 'K8 Hf2 O8'
_space_group_name_H-M_alt 'P -1'
_space_group_IT_number 2
_cell_length_a 6.592
_cell_length_b 6.618
_cell_length_c 9.926
_cell_angle_alpha 80.75
_cell_angle_beta 71.71
_cell_angle_gamma 67.38
loop_
_space_group_symop_operation_xyz
'x,y,z'
'-x,-y,-z'
loop_
_atom_site_label
_atom_site_type_symbol
_atom_site_fract_x
_atom_site_fract_y
_atom_site_fract_z
K1 K 0.018 0.268 0.439
K2 K 0.104 0.730 0.173
K3 K 0.260 0.239 0.019
K4 K 0.454 0.230 0.610
Hf1 Hf 0.344 0.722 0.756
O1 O 0.155 0.536 0.806
O2 O 0.207 0.963 0.629
O3 O 0.347 0.456 0.356
And Akshay Shah, the Chair of KEPRO, (Kenya Extended Producer Responsibility Organisation), spoke equally inspiringly about how this Business Member Organisation works on accelerating the growth of Kenya’s recycling ecosystem, leading to a Circular Economy that will protect our natural environment and creating jobs for future generations.
As with KPRA, they collaborate with the relevant government bodies to bring in regulations and build the capacity to behave responsibly: “sticks and carrots” as he put it.
There were so many other uplifting stories, including from Maryann Nderu, EABL’s Sustainability Manager, about their promotion of “positive drinking” and of women in leadership; Edna Kimenju, Deloitte’s ESG Manager, about how they advise on bringing about sustainability; Rufus Mwenda, a member of the ABSA sustainability team; and Noreen Nthiga, an organisation development and policy specialist in the Office of the President, on supporting SMEs in these areas.
If I had more space I would add several others. But let me conclude by noting that in Kenya today we have an amazing number of responsible people who are running responsible organisations.
What comes next are materials data, not part of the text =
____________
For ScCdCu2, a structure optimized by DFT (GGA-PBE) gives the computed X-ray diffraction stick pattern in this record (copper Kα).
Lines closer than 0.1° are merged.

Structural model:
Cell: 6.3900 6.3900 6.3900 Å, 90.00 90.00 90.00°
Fractional coordinates of all 16 atoms:
Sc1 0.0000 0.0000 0.0000
Sc2 0.0000 0.5000 0.5000
Sc3 0.5000 0.0000 0.5000
Sc4 0.5000 0.5000 0.0000
Cd1 0.0000 0.0000 0.5000
Cd2 0.0000 0.5000 0.0000
Cd3 0.5000 0.0000 0.0000
Cd4 0.5000 0.5000 0.5000
Cu1 0.2500 0.2500 0.2500
Cu2 0.2500 0.2500 0.7500
Cu3 0.2500 0.7500 0.2500
Cu4 0.2500 0.7500 0.7500
Cu5 0.7500 0.2500 0.2500
Cu6 0.7500 0.2500 0.7500
Cu7 0.7500 0.7500 0.2500
Cu8 0.7500 0.7500 0.7500

Most intense lines, 2θ from 10° to 90°, most intense first:
39.9°, d = 2.259 Å, I 100, hkl 2 2 0
72.5°, d = 1.304 Å, I 31, hkl 4 2 2
57.7°, d = 1.597 Å, I 16, hkl 4 0 0
24.1°, d = 3.689 Å, I 14, hkl 1 1 1
86.1°, d = 1.130 Å, I 10, hkl 4 4 0
47.2°, d = 1.927 Å, I 7, hkl 3 1 1
63.5°, d = 1.466 Å, I 3, hkl 3 3 1
77.6°, d = 1.230 Å, I 2, hkl 5 1 1
27.9°, d = 3.195 Å, I 1, hkl 2 0 0

* * * * *

[1]
The following is a theoretical powder diffractogram of BaTl2Hg7Au2. It was derived from a PBE-relaxed structure, using Cu Kα, 1.54184 Å.
Lines closer than 0.1° are merged.

Structure:
Cell: 7.3647 8.1822 12.3415 Å, 90.00 98.81 90.00°
Space group C2/m (No. 12)
Unique sites:
Ba 0.0000 0.0000 0.0000
Tl 0.0806 0.0000 0.3742
Hg 0.0000 0.5000 0.0000
Hg 0.1144 0.5000 0.4141
Hg 0.1468 0.3210 0.7970
Au 0.2405 0.5000 0.2043

Most intense lines, 2θ from 10° to 90°, in order of rising 2θ:
| two_theta | I (rel.) | h k l |
| --- | --- | --- |
| 14.53 | 30 | 0 0 2 |
| 21.72 | 57 | 0 2 0 |
| 30.35 | 100 | 2 0 -3 |
| 30.47 | 91 | 2 0 2 |
| 32.92 | 45 | 2 2 -1 |
| 34.61 | 28 | 2 2 1 |
| 35.52 | 26 | 1 3 -1 |
| 36.32 | 33 | 1 3 1 |
| 36.85 | 70 | 0 0 5 |
| 37.44 | 34 | 1 3 -2 |
| 37.64 | 26 | 2 2 -3 |
| 54.67 | 38 | 2 4 -3 |


[2]
The following is a theoretical powder diffractogram of NaEr2Pb3. It was derived from a PBE-relaxed structure, using Cu Kα, 1.54184 Å.
Lines closer than 0.1° are merged.

Structure:
Cell: 3.9162 3.9162 11.1293 Å, 90.00 90.00 90.00°
Space group P4/mmm (No. 123)
Unique sites:
Na 0.0000 0.0000 0.0000
Er 0.0000 0.0000 0.3341
Pb 0.5000 0.5000 0.1731
Pb 0.5000 0.5000 0.5000

Most intense lines, 2θ from 10° to 90°, in order of rising 2θ:
| two_theta | I (rel.) | h k l |
| --- | --- | --- |
| 22.71 | 9 | 1 0 0 |
| 32.33 | 53 | 1 1 0 |
| 33.27 | 100 | 1 0 3 |
| 46.37 | 20 | 2 0 0 |
| 49.12 | 8 | 0 0 6 |
| 58.26 | 40 | 2 1 3 |
| 60.03 | 18 | 1 1 6 |
| 69.85 | 12 | 2 0 6 |
| 77.00 | 9 | 3 1 0 |
| 77.52 | 9 | 3 0 3 |
| 81.65 | 7 | 1 0 9 |
| 88.02 | 7 | 2 2 6 |


[3]
The following is a theoretical powder diffractogram of Cs4Tl. It was derived from a PBE-relaxed structure, using Cu Kα, 1.54184 Å.
Lines closer than 0.1° are merged.

Structure:
Cell: 10.1386 19.7825 8.5826 Å, 90.00 90.00 90.00°
Space group Ibam (No. 72)
Unique sites:
Cs 0.1410 0.1655 0.0000
Cs 0.1906 0.4251 0.0000
____________
Here the text continues =
They are both visionary and practical in how they approach ESG; they keep things simple and transparent and expect to make a positive difference to the society in which they operate.
They also prove that it is not only a nice thing to do but that it works commercially, not least for their long-term sustainability.
Increasingly these days, if we are to attract good people to work for us, good customers and good suppliers, good financiers and insurers, we’d better get as serious about ESG as those who spoke at and attended the KENCTAD conference on sustainability. I’m so glad I was there to absorb their positivity.